No Impact Man

Just watched the documentary “No Impact Man” by Colin Beavan. It’s about a family in Manhattan, New York City, that try to reduce their impact on the environment for a whole year. They do a pretty good job really. They split “the project” in to several phase. Firstly to try and reduce their consumption, then one by one replace or eliminate other items in their life.

Initially to reduce their consumption they stop eating out, using transport other than walking or cycling, and stop using elevators, air conditioning, and heating. They also try and replace items they buy with those without packaging. So instead of buying cheese or meat wrapped in plastic that are transported for hundreds of miles they instead go to their local market and buy produce from farms nearby to the city. They wrap these in fabric or don’t ask for bags for the food. They also give up meat.

There were quite a few interesting things they found out. Firstly, they reduce their weekly garbage (aka rubbish, trash) from a full bin to just a couple of plastic pots. Imagine the impact if everyone did just this step? it would massively reduce land fill and oil consumption through packaging and transport of waste.

They also visited farms that sold produce on their local market. They visited one dairy farm where the farmer took great pride in his cows. They were all named and well looked after. Colin asked the farmer why their produce wasn’t marked as Organic. Apparently they can only be labelled organic not just because of the way they are fed, but also because the cows can’t be given any antibiotics. The farmer wasn’t willing to sacrifice the welfare of an individual cow in order to gain the Organic mark. That was the single only reason though – the quality of the produce was exactly the same. So you can either have excellent welfare, or organic food. Choose one. Shocking reality really that I bet no one has thought of.

Colin decided that during the project he would go to the extremes to see what can be done. Not because he’s a crazy hippy, but rather so he could see what was easy to give up, what the consequences of each would be, so that others could see what could be done. They tried pretty much everything. Using fabric nappies (diapers) rather than disposables, using two pots, sand and water instead of a fridge (apparently a Nigerian technique), and getting rid of the TV and toilet paper! Annoyingly all the press featured in the film seemed to fixate on the toilet paper part and missed the key message really.

I really liked the fact that he tried everything rather than the classic mistake of many environmentalist wannabes and just say “use energy saving lightbulbs, buy a prius, and you’re done”. I found myself thinking “I could do that” or “hell no!”, but that’s the point. It’s not about going back to the dark ages, it’s about reducing consumption whilst still being happy. Quality of life versus consumerism.

You could tell form watching that the project had a profound affect on the family’s outlook on life. Removing the television helped them rediscover spending time with their daughter. Having friends over resulted in fun interactive games of charades rather than sitting in front of a TV with the occasional comment. Colin’s partner, Michelle, discovered about food rather than just eating it. She even learnt to prepare and cook all the vegetables too, something she’d never done before. They got on their bikes and discovered fantastic beaches within a ride of the city.

The project wasn’t just an exercise in vanity by an author looking for a new subject of a book, or a political statement, or the hypocritical pronouncements of someone who saves 2 watts of energy only to fly to their next gig. There were real practical and social outcomes for everyone involved. A really refreshing approach – let’s just try it and see what happens.

Of course I’m not advocating we each do this ourselves. There are plenty of things in there I wouldn’t do. There are some things that actually increase production of carbon. Eliminating electricity then burning candles for instance which another documentary says actually consumes 100 times the energy of electricity used for lighting. That doesn’t mean we shouldn’t do it. How many of us actually need to keep every room lit all night? Could we in fact build homes that were built to take advantage of natural light instead? Of course we could.

I like the idea that there are some things we can do now, and there are things we should think about when we continue to develop in the future. There is a temptation as Al Gore said to go from realising there is a problem straight to dispare that nothing can be done, and skip the bit in the middle – actually trying to do something.

What did I take away from the documentary? I certainly think that when I finally finish the garden (not holding my breath) that I’ll plant a few vegetables and herbs and try to do this so I have at least some food I need rather than relying on Supermarkets for everything. Watching this film co-incides with me going on a diet and changing my eating habits. I’m now three weeks in and actually enjoying making my own fresh salads each day. I vary the content slightly to keep interested and trying new flavours. This beats having the same couple of sandwiches each day from the local shop. I use one lettuce and one carrot each week for my daily salads. I could easily grow this myself during the year. The difficult bit will be giving up by turkey I use in it. Perhaps I can source that from the local farm as a half way solution?

I hardly use the heating at home. I’m thinking of using solar heating. Unfortunately my house is east-west, but the garage is north-south, and more easily accessible. Probably a no go for heating but PV should be possible. Or maybe I could create a naturally heated and lit green house? It certainly gets you thinking. In the film Colin used a small solar panel to get enough electricity to power his laptop and internet feed. I think he missed a trick by not using a leisure battery to store extra charge then use this for evening lighting though. This would give more flexibility.

Data records from another source follow.
+++
(1)
Compound: CdCu4Ni
Source: the Alexandria database
Functional: PBE
Structure: optimized geometry

Structure (CIF):
```
data_CdCu4Ni
_chemical_formula_sum 'Cd1 Cu4 Ni1'
_space_group_name_H-M_alt 'P 1'
_space_group_IT_number 1
_space_group_name_Hall 'P 1'
_cell_length_a 4.8485
_cell_length_b 4.8485
_cell_length_c 4.8485
_cell_angle_alpha 60.00
_cell_angle_beta 60.00
_cell_angle_gamma 60.00
loop_
_atom_site_label
_atom_site_fract_x
_atom_site_fract_y
_atom_site_fract_z
Cd1 0.0000 0.0000 0.0000
Cu1 0.1265 0.6245 0.6245
Cu2 0.6245 0.1265 0.6245
Cu3 0.6245 0.6245 0.1265
Cu4 0.6245 0.6245 0.6245
Ni1 0.2500 0.2500 0.2500
```

Calculated values
N(E_F), states/eV per cell: 3.4
Calculated formation energy, eV/atom: 0.1085
Crystal system: cubic

(2)
Compound: CdCu2Ni
Source: the Alexandria database
Functional: PBE
Structure: optimized geometry

Structure (CIF):
```
data_CdCu2Ni
_chemical_formula_sum 'Cd2 Cu4 Ni2'
_space_group_name_H-M_alt 'P 1'
_space_group_IT_number 1
_space_group_name_Hall 'P 1'
_cell_length_a 5.3749
_cell_length_b 7.4088
_cell_length_c 2.7659
_cell_angle_alpha 90.00
_cell_angle_beta 90.00
_cell_angle_gamma 90.00
loop_
_atom_site_label
_atom_site_fract_x
_atom_site_fract_y
_atom_site_fract_z
Cd1 0.0000 0.0000 0.0000
Cd2 0.5000 0.5000 0.0000
Cu1 0.2500 0.2500 0.5000
Cu2 0.2500 0.7500 0.5000
Cu3 0.7500 0.2500 0.5000
Cu4 0.7500 0.7500 0.5000
Ni1 0.0000 0.5000 0.0000
Ni2 0.5000 0.0000 0.0000
```

Calculated values
N(E_F), states/eV per cell: 4.0
Calculated formation energy, eV/atom: 0.1351
Crystal system: orthorhombic

(3)
Compound: Cd3CuNi
Source: the Alexandria database
Functional: PBE
Structure: optimized geometry

Structure (CIF):
```
data_Cd3CuNi
_chemical_formula_sum 'Cd3 Cu1 Ni1'
_space_group_name_H-M_alt 'P 1'
_space_group_IT_number 1
_space_group_name_Hall 'P 1'
_cell_length_a 4.8674
_cell_length_b 4.8674
_cell_length_c 4.8674
_cell_angle_alpha 90.00
_cell_angle_beta 90.00
_cell_angle_gamma 90.00
loop_
_atom_site_label
_atom_site_fract_x
_atom_site_fract_y
_atom_site_fract_z
Cd1 0.0000 0.0000 0.5000
Cd2 0.0000 0.5000 0.0000
Cd3 0.5000 0.0000 0.0000
Cu1 0.0000 0.0000 0.0000
Ni1 0.5000 0.5000 0.5000
```

Calculated values
N(E_F), states/eV per cell: 4.0
Calculated formation energy, eV/atom: 0.6800
Crystal system: cubic

(4)
Compound: CdCuNi2
Source: the Alexandria database
Functional: PBE
Structure: optimized geometry

Structure (CIF):
```
data_CdCuNi2
_chemical_formula_sum 'Cd1 Cu1 Ni2'
_space_group_name_H-M_alt 'P 1'
_space_group_IT_number 1
_space_group_name_Hall 'P 1'
_cell_length_a 4.5225
_cell_length_b 2.7334
_cell_length_c 4.5578
_cell_angle_alpha 90.00
_cell_angle_beta 108.23
_cell_angle_gamma 90.00
loop_
_atom_site_label
_atom_site_fract_x
_atom_site_fract_y
_atom_site_fract_z
Cd1 0.0000 0.0000 0.0000
Cu1 0.0000 0.5000 0.5000
Ni1 0.5000 0.0000 0.5000
Ni2 0.5000 0.5000 0.0000
```

Calculated values
N(E_F), states/eV per cell: 3.0
Calculated formation energy, eV/atom: 0.1495
Crystal system: monoclinic

(5)
Compound: CdCuNi2
+++

At the moment solar pv is not economically viable. Unfortunately the large power companies have bought the next gen solar cell technology. I would imagine they will sit on it for a good few years yet. They certainly aren’t using the purchased techniques to produce new panels. Perhaps this is why the UK government is reducing the solar pv funding? After all why fund a business that is really just profiteering from the current desire to be seen to do good, rather than do the maximum good?

I may have a look in to the economic and practical viability of individual ideas and see if there are any obviously beneficial ones. My Dad is really a pioneer here. Pretty good going for an ex-Steelworker – he’s now collecting rain water and using this for flushing the toilets and doing the washing. Reducing his water bills and helping the environment.

All in all I would definitely recommend this documentary. Even if you have no interest in doing the same thing, it’s an interesting look in to not just the ideas, but the lives and effects doing this for a year has on the family themselves.